-- Work order --
Your job: type out everything further below unchanged.
-- Excerpt --
'''
# NiP4H16N2O16 | the Materials Project database | PBE+U | relaxed
data_NiP4H16N2O16
_space_group_name_H-M_alt 'P -1'
_space_group_IT_number 2
_cell_length_a 7.091
_cell_length_b 7.320
_cell_length_c 7.744
_cell_angle_alpha 81.68
_cell_angle_beta 71.28
_cell_angle_gamma 88.43
loop_
_space_group_symop_operation_xyz
'x,y,z'
'-x,-y,-z'
loop_
_atom_site_label
_atom_site_fract_x
_atom_site_fract_y
_atom_site_fract_z
Ni1 0.000 0.000 0.000
P1 0.155 0.240 0.262
P2 0.255 0.711 0.745
H1 0.112 0.190 0.658
H2 0.119 0.326 0.801
H3 0.241 0.476 0.039
H4 0.321 0.886 0.164
H5 0.375 0.660 0.194
H6 0.416 0.798 0.334
H7 0.425 0.222 0.422
H8 0.439 0.179 0.890
N1 0.418 0.792 0.200
O1 0.051 0.215 0.786
O2 0.081 0.733 0.648
O3 0.193 0.117 0.112
O4 0.228 0.168 0.422
O5 0.239 0.515 0.847
O6 0.247 0.863 0.859
O7 0.249 0.438 0.172
O8 0.441 0.737 0.564
# - magnetic moment (μB per cell) = 2.0
# - energy (eV per atom) = -5.85
# - crystal system = triclinic
'''
-- Outcome --
# NiP4H16N2O16 | the Materials Project database | PBE+U | relaxed
data_NiP4H16N2O16
_space_group_name_H-M_alt 'P -1'
_space_group_IT_number 2
_cell_length_a 7.091
_cell_length_b 7.320
_cell_length_c 7.744
_cell_angle_alpha 81.68
_cell_angle_beta 71.28
_cell_angle_gamma 88.43
loop_
_space_group_symop_operation_xyz
'x,y,z'
'-x,-y,-z'
loop_
_atom_site_label
_atom_site_fract_x
_atom_site_fract_y
_atom_site_fract_z
Ni1 0.000 0.000 0.000
P1 0.155 0.240 0.262
P2 0.255 0.711 0.745
H1 0.112 0.190 0.658
H2 0.119 0.326 0.801
H3 0.241 0.476 0.039
H4 0.321 0.886 0.164
H5 0.375 0.660 0.194
H6 0.416 0.798 0.334
H7 0.425 0.222 0.422
H8 0.439 0.179 0.890
N1 0.418 0.792 0.200
O1 0.051 0.215 0.786
O2 0.081 0.733 0.648
O3 0.193 0.117 0.112
O4 0.228 0.168 0.422
O5 0.239 0.515 0.847
O6 0.247 0.863 0.859
O7 0.249 0.438 0.172
O8 0.441 0.737 0.564
# - magnetic moment (μB per cell) = 2.0
# - energy (eV per atom) = -5.85
# - crystal system = triclinic